[Request]
Next, type out every line further below that contains the word "compared".
[Input]
/*
CH4NO3P | wB97M-V/def2-TZVPD

Structure (ORCA input):
```
! RIJCOSX wB97M-V def2-TZVPD def2/J DEFGRID3
* xyz 0 3
C -0.614 0.645 -0.584
N 0.094 -0.458 -0.550
O -2.025 2.242 1.443
O -0.843 -0.100 1.787
O 0.392 2.016 1.029
P -0.918 1.363 1.075
H -0.523 1.508 -1.203
H 0.018 -1.054 0.336
H -0.608 0.099 2.665
H 0.567 -0.834 -1.392
*
```

Summary:
**Expectation value of S²**: 2.010
**LUMO energy (alpha / beta)**: 0.0195 / -0.1429 hartree
**Frontier orbital gap (alpha / beta)**: 7.44 / 6.99 eV
**Energy above the lowest of the compared OMol25 structures with the same formula, charge and spin**: 0.0 kJ/mol
**E**: -662.24275 Eh
**HOMO level (alpha / beta)**: -6.9 / -10.9 eV
*/
[Completed]
**Energy above the lowest of the compared OMol25 structures with the same formula, charge and spin**: 0.0 kJ/mol